Exercise.
Could you print the lines below up to the one that holds "2.604 Å,", that line included?

Material.
Theoretical X-ray diffraction stick pattern
Compound: Na2CuAuF6
Radiation: Cu Kα X-rays
Structure: a crystal structure in the Materials Project, relaxed with PBE
Neutral-atom scattering factors, no anomalous dispersion.

Largest 6 diffraction maxima, by angle, 2θ = 10–80°:
2θ (°)	intensity
18.2	35
21.1	100
29.9	96
42.9	43
48.2	44
53.2	39

Crystal structure
```
data_Na2CuAuF6
_symmetry_space_group_name_H-M 'F m -3 m'
_symmetry_Int_Tables_number 225
_symmetry_space_group_name_Hall '-F 4 2 3'
_cell_length_a 8.439
_cell_length_b 8.439
_cell_length_c 8.439
_cell_angle_alpha 90.00
_cell_angle_beta 90.00
_cell_angle_gamma 90.00
loop_
_atom_site_label
_atom_site_type_symbol
_atom_site_fract_x
_atom_site_fract_y
_atom_site_fract_z
Na1 Na 0.250 0.250 0.250
Cu1 Cu 0.000 0.000 0.000
Au1 Au 0.000 0.000 0.500
F1 F 0.000 0.000 0.235
```

Theoretical X-ray diffraction stick pattern
Compound: LiCuAu2
Radiation: Cu Kα X-rays
Structure: a crystal structure in the Materials Project, relaxed with PBE
Neutral-atom scattering factors, no anomalous dispersion.

Largest 6 diffraction maxima, by angle, 2θ = 10–80°:
2θ (°)	intensity
28.6	60
41.0	100
50.7	17
59.3	17
67.2	23
74.6	34

Crystal structure
```
data_LiCuAu2
_symmetry_space_group_name_H-M 'F m -3 m'
_symmetry_Int_Tables_number 225
_symmetry_space_group_name_Hall '-F 4 2 3'
_cell_length_a 6.232
_cell_length_b 6.232
_cell_length_c 6.232
_cell_angle_alpha 90.00
_cell_angle_beta 90.00
_cell_angle_gamma 90.00
loop_
_atom_site_label
_atom_site_type_symbol
_atom_site_fract_x
_atom_site_fract_y
_atom_site_fract_z
Li1 Li 0.000 0.000 0.000
Cu1 Cu 0.000 0.000 0.500
Au1 Au 0.250 0.250 0.250
```


[1]
The following is a theoretical powder diffraction line list of Ni2PC. It was derived from the PBE geometry in Alexandria, using Cu Kα X-rays.
No peak broadening, texture or thermal motion is included.

Main lines, sorted by position (2θ from 15° to 90°):
d = 2.719 Å, I = 14, hkl 1 0 3
d = 2.659 Å, I = 100, hkl 1 1 2
d = 2.604 Å, I = 13, hkl 0 0 4
d = 1.922 Å, I = 25, hkl 2 1 1
d = 1.704 Å, I = 10, hkl 2 1 3
d = 1.675 Å, I = 30, hkl 2 0 4
d = 1.546 Å, I = 7, hkl 2 2 0
d = 1.514 Å, I = 16, hkl 1 1 6
d = 1.337 Å, I = 8, hkl 3 1 2
d = 1.145 Å, I = 8, hkl 3 2 3

```
data_Ni2PC
_symmetry_space_group_name_H-M 'I -4 2 d'
_symmetry_Int_Tables_number 122
_symmetry_space_group_name_Hall 'I -4 2bw'
_cell_length_a 4.3729
_cell_length_b 4.3729
_cell_length_c 10.4174
_cell_angle_alpha 90.00
_cell_angle_beta 90.00
_cell_angle_gamma 90.00
loop_
_atom_site_label
_atom_site_type_symbol
_atom_site_fract_x
_atom_site_fract_y
_atom_site_fract_z
_atom_site_occupancy
Ni1 Ni 0.1719 0.2500 0.1250 1
P1 P 0.0000 0.0000 0.5000 1
C1 C 0.0000 0.0000 0.0000 1
```


[2]
The following is a theoretical powder diffraction line list of NiSnPC. It was derived from the PBE geometry in Alexandria, using Cu Kα X-rays.
No peak broadening, texture or thermal motion is included.

Main lines, sorted by position (2θ from 15° to 90°):
d = 3.350 Å, I = 51, hkl 0 1 0
d = 3.038 Å, I = 23, hkl 0 0 2
d = 2.934 Å, I = 66, hkl 0 1 1
d = 2.655 Å, I = 100, hkl 1 0 1
d = 2.251 Å, I = 27, hkl 0 1 2
d = 2.117 Å, I = 22, hkl 1 0 2
d = 2.081 Å, I = 56, hkl 1 1 1
d = 1.790 Å, I = 61, hkl 1 1 2
d = 1.733 Å, I = 28, hkl 0 1 3
d = 1.417 Å, I = 28, hkl 1 2 1

```
data_NiSnPC
_symmetry_space_group_name_H-M 'P m m 2'
_symmetry_Int_Tables_number 25
_symmetry_space_group_name_Hall 'P 2 -2'
_cell_length_a 2.9514
_cell_length_b 3.3503
_cell_length_c 6.0764
_cell_angle_alpha 90.00
_cell_angle_beta 90.00
_cell_angle_gamma 90.00
loop_
_atom_site_label
_atom_site_type_symbol
_atom_site_fract_x
_atom_site_fract_y
_atom_site_fract_z
_atom_site_occupancy
Ni1 Ni 0.0000 0.0000 0.0000 1
Sn1 Sn 0.5000 0.0000 0.3459 1
P1 P 0.0000 0.5000 0.7668 1
C1 C 0.5000 0.5000 0.5905 1
```


[3]
The following is a theoretical powder diffraction line list of Pa3Ni2C4. It was derived from the PBE geometry in Alexandria, using Cu Kα X-rays.
No peak broadening, texture or thermal motion is included.

Completed.
Theoretical X-ray diffraction stick pattern
Compound: Na2CuAuF6
Radiation: Cu Kα X-rays
Structure: a crystal structure in the Materials Project, relaxed with PBE
Neutral-atom scattering factors, no anomalous dispersion.

Largest 6 diffraction maxima, by angle, 2θ = 10–80°:
2θ (°)	intensity
18.2	35
21.1	100
29.9	96
42.9	43
48.2	44
53.2	39

Crystal structure
```
data_Na2CuAuF6
_symmetry_space_group_name_H-M 'F m -3 m'
_symmetry_Int_Tables_number 225
_symmetry_space_group_name_Hall '-F 4 2 3'
_cell_length_a 8.439
_cell_length_b 8.439
_cell_length_c 8.439
_cell_angle_alpha 90.00
_cell_angle_beta 90.00
_cell_angle_gamma 90.00
loop_
_atom_site_label
_atom_site_type_symbol
_atom_site_fract_x
_atom_site_fract_y
_atom_site_fract_z
Na1 Na 0.250 0.250 0.250
Cu1 Cu 0.000 0.000 0.000
Au1 Au 0.000 0.000 0.500
F1 F 0.000 0.000 0.235
```

Theoretical X-ray diffraction stick pattern
Compound: LiCuAu2
Radiation: Cu Kα X-rays
Structure: a crystal structure in the Materials Project, relaxed with PBE
Neutral-atom scattering factors, no anomalous dispersion.

Largest 6 diffraction maxima, by angle, 2θ = 10–80°:
2θ (°)	intensity
28.6	60
41.0	100
50.7	17
59.3	17
67.2	23
74.6	34

Crystal structure
```
data_LiCuAu2
_symmetry_space_group_name_H-M 'F m -3 m'
_symmetry_Int_Tables_number 225
_symmetry_space_group_name_Hall '-F 4 2 3'
_cell_length_a 6.232
_cell_length_b 6.232
_cell_length_c 6.232
_cell_angle_alpha 90.00
_cell_angle_beta 90.00
_cell_angle_gamma 90.00
loop_
_atom_site_label
_atom_site_type_symbol
_atom_site_fract_x
_atom_site_fract_y
_atom_site_fract_z
Li1 Li 0.000 0.000 0.000
Cu1 Cu 0.000 0.000 0.500
Au1 Au 0.250 0.250 0.250
```


[1]
The following is a theoretical powder diffraction line list of Ni2PC. It was derived from the PBE geometry in Alexandria, using Cu Kα X-rays.
No peak broadening, texture or thermal motion is included.

Main lines, sorted by position (2θ from 15° to 90°):
d = 2.719 Å, I = 14, hkl 1 0 3
d = 2.659 Å, I = 100, hkl 1 1 2
d = 2.604 Å, I = 13, hkl 0 0 4